Assignment =
It remains to write out everything underneath without altering anything.

Listing =
MgAlSbO4: computed XRD peak list (a wavelength of 1.5418 Å), based on a cell relaxed with GGA-PBE.
Peak positions follow from Bragg's law for the DFT cell and can differ from measured ones.

Cell and atoms:
Cell: 5.0459 3.0060 5.5589 Å, 90.00 94.42 90.00°
Fractional coordinates of all 7 atoms:
Mg 0.0000 0.0000 0.0000
Al 0.5000 0.5220 0.0000
Sb 0.0000 0.1976 0.5000
O 0.1850 0.5129 0.2120
O 0.3284 0.0392 0.8225
O 0.6716 0.0392 0.1775
O 0.8150 0.5129 0.7880

Most intense lines, 5° ≤ 2θ ≤ 70°, in order of falling intensity:
2theta, Rel. int.
17.63, 100
22.94, 60
24.80, 55
34.77, 46
33.93, 42
47.14, 37
35.72, 37
37.87, 37
49.19, 36
46.87, 31
29.72, 31
39.08, 28

=====

MgScAlO4: computed XRD peak list (a wavelength of 1.5418 Å), based on a cell relaxed with GGA-PBE.
Peak positions follow from Bragg's law for the DFT cell and can differ from measured ones.

Cell and atoms:
Cell: 8.5671 8.5671 8.5671 Å, 21.99 21.99 21.99°
Fractional coordinates of all 7 atoms:
Mg 0.0000 0.0000 0.0000
Sc 0.2122 0.2122 0.2122
Al 0.4301 0.4301 0.4301
O 0.0958 0.0958 0.0958
O 0.3551 0.3551 0.3551
O 0.5044 0.5044 0.5044
O 0.9200 0.9200 0.9200

Most intense lines, 5° ≤ 2θ ≤ 70°, in order of falling intensity:
2theta, Rel. int.
31.81, 100
56.29, 85
34.78, 64
48.51, 52
32.13, 46
61.25, 43
66.31, 31
21.26, 28
10.59, 23
36.45, 23
32.43, 22
40.63, 21

=====

Mg2Al4Si5O18: computed XRD peak list (a wavelength of 1.5418 Å), based on a cell relaxed with GGA-PBE.
Peak positions follow from Bragg's law for the DFT cell and can differ from measured ones.

Cell and atoms:
Cell: 9.4500 9.8358 9.9031 Å, 60.50 89.98 89.94°
Fractional coordinates of all 58 atoms:
Mg 0.0000 0.0000 0.0000
Mg 0.0001 0.3339 0.3412
Mg 0.4951 0.9985 0.0031
Mg 0.4959 0.3353 0.3366
Al 0.2463 0.0316 0.5625
Al 0.2476 0.5557 0.4024
Al 0.4959 0.1663 0.1686
Al 0.4985 0.6664 0.1697
Al 0.7483 0.4097 0.5612
Al 0.9968 0.6666 0.1687
Al 0.9982 0.1709 0.6631
Al 0.9989 0.1668 0.1682
Si 0.2477 0.2929 0.7750
Si 0.2484 0.4002 0.0412
Si 0.2478 0.7709 0.9363
Si 0.2483 0.9341 0.2869
Si 0.4971 0.1696 0.6638
Si 0.7473 0.0431 0.3990
Si 0.7473 0.2946 0.9352
Si 0.7466 0.5660 0.0329
Si 0.7469 0.7816 0.2873
Si 0.7475 0.9363 0.7666
O 0.0988 0.5255 0.3150
O 0.1033 0.1558 0.5273
O 0.1049 0.3241 0.1459
O 0.1055 0.8023 0.0150
O 0.1070 0.0176 0.1750
O 0.1095 0.1767 0.8095
O 0.2484 0.8855 0.7544
O 0.2485 0.4319 0.6023
O 0.2486 0.5873 0.9751
O 0.2488 0.7515 0.3488
O 0.2545 0.3526 0.9031
O 0.2545 0.9811 0.4198
O 0.3875 0.0192 0.1712
O 0.3900 0.3227 0.1503
O 0.3902 0.8028 0.0151
O 0.3971 0.1832 0.7978
O 0.3982 0.5237 0.3174
O 0.4015 0.1456 0.5415
O 0.5948 0.3134 0.5424
O 0.5994 0.0199 0.7899
O 0.6047 0.1516 0.3225
O 0.6065 0.1829 0.0168
O 0.6074 0.5345 0.1426

Completed =
MgAlSbO4: computed XRD peak list (a wavelength of 1.5418 Å), based on a cell relaxed with GGA-PBE.
Peak positions follow from Bragg's law for the DFT cell and can differ from measured ones.

Cell and atoms:
Cell: 5.0459 3.0060 5.5589 Å, 90.00 94.42 90.00°
Fractional coordinates of all 7 atoms:
Mg 0.0000 0.0000 0.0000
Al 0.5000 0.5220 0.0000
Sb 0.0000 0.1976 0.5000
O 0.1850 0.5129 0.2120
O 0.3284 0.0392 0.8225
O 0.6716 0.0392 0.1775
O 0.8150 0.5129 0.7880

Most intense lines, 5° ≤ 2θ ≤ 70°, in order of falling intensity:
2theta, Rel. int.
17.63, 100
22.94, 60
24.80, 55
34.77, 46
33.93, 42
47.14, 37
35.72, 37
37.87, 37
49.19, 36
46.87, 31
29.72, 31
39.08, 28

=====

MgScAlO4: computed XRD peak list (a wavelength of 1.5418 Å), based on a cell relaxed with GGA-PBE.
Peak positions follow from Bragg's law for the DFT cell and can differ from measured ones.

Cell and atoms:
Cell: 8.5671 8.5671 8.5671 Å, 21.99 21.99 21.99°
Fractional coordinates of all 7 atoms:
Mg 0.0000 0.0000 0.0000
Sc 0.2122 0.2122 0.2122
Al 0.4301 0.4301 0.4301
O 0.0958 0.0958 0.0958
O 0.3551 0.3551 0.3551
O 0.5044 0.5044 0.5044
O 0.9200 0.9200 0.9200

Most intense lines, 5° ≤ 2θ ≤ 70°, in order of falling intensity:
2theta, Rel. int.
31.81, 100
56.29, 85
34.78, 64
48.51, 52
32.13, 46
61.25, 43
66.31, 31
21.26, 28
10.59, 23
36.45, 23
32.43, 22
40.63, 21

=====

Mg2Al4Si5O18: computed XRD peak list (a wavelength of 1.5418 Å), based on a cell relaxed with GGA-PBE.
Peak positions follow from Bragg's law for the DFT cell and can differ from measured ones.

Cell and atoms:
Cell: 9.4500 9.8358 9.9031 Å, 60.50 89.98 89.94°
Fractional coordinates of all 58 atoms:
Mg 0.0000 0.0000 0.0000
Mg 0.0001 0.3339 0.3412
Mg 0.4951 0.9985 0.0031
Mg 0.4959 0.3353 0.3366
Al 0.2463 0.0316 0.5625
Al 0.2476 0.5557 0.4024
Al 0.4959 0.1663 0.1686
Al 0.4985 0.6664 0.1697
Al 0.7483 0.4097 0.5612
Al 0.9968 0.6666 0.1687
Al 0.9982 0.1709 0.6631
Al 0.9989 0.1668 0.1682
Si 0.2477 0.2929 0.7750
Si 0.2484 0.4002 0.0412
Si 0.2478 0.7709 0.9363
Si 0.2483 0.9341 0.2869
Si 0.4971 0.1696 0.6638
Si 0.7473 0.0431 0.3990
Si 0.7473 0.2946 0.9352
Si 0.7466 0.5660 0.0329
Si 0.7469 0.7816 0.2873
Si 0.7475 0.9363 0.7666
O 0.0988 0.5255 0.3150
O 0.1033 0.1558 0.5273
O 0.1049 0.3241 0.1459
O 0.1055 0.8023 0.0150
O 0.1070 0.0176 0.1750
O 0.1095 0.1767 0.8095
O 0.2484 0.8855 0.7544
O 0.2485 0.4319 0.6023
O 0.2486 0.5873 0.9751
O 0.2488 0.7515 0.3488
O 0.2545 0.3526 0.9031
O 0.2545 0.9811 0.4198
O 0.3875 0.0192 0.1712
O 0.3900 0.3227 0.1503
O 0.3902 0.8028 0.0151
O 0.3971 0.1832 0.7978
O 0.3982 0.5237 0.3174
O 0.4015 0.1456 0.5415
O 0.5948 0.3134 0.5424
O 0.5994 0.0199 0.7899
O 0.6047 0.1516 0.3225
O 0.6065 0.1829 0.0168
O 0.6074 0.5345 0.1426